Latin American Countries With The Greatest Central Government Debt
## Here the page breaks off for records of molecules
____________
[1]
This record from the OMol25 dataset describes a 2-piece molecular cluster, C18H13F3N3O6S overall. The level of theory is ωB97M-V with the def2-TZVPD basis set.

HOMO level (hartree): -0.14606
LUMO (eV): 1.553
Orbital gap (eV): 5.5271
Total charge: -1
Spin multiplicity: 1

```
44
C18H13F3N3O6S, DFT ωB97M-V with the def2-TZVPD basis set
F 3.518 0.867 -0.381
C 2.811 0.561 0.759
F 2.937 -0.792 0.960
F 3.423 1.158 1.818
S 1.058 1.092 0.527
N 0.555 -0.037 1.815
C 0.225 0.501 3.084
O 0.602 1.546 3.636
C -0.766 -0.542 3.558
C -0.411 -1.867 2.907
C 0.052 -1.363 1.530
O 0.038 -1.909 0.439
H -0.766 -0.472 4.647
H -1.790 -0.208 3.044
H 0.425 -2.435 3.395
H -1.284 -2.550 2.841
C -2.825 0.747 2.229
C -3.683 0.095 1.202
C -3.755 -1.332 1.155
C -4.700 -2.015 0.397
C -5.698 -1.314 -0.299
N -6.850 -2.010 -0.736
O -7.834 -1.386 -1.184
O -6.834 -3.262 -0.667
C -5.658 0.095 -0.298
C -4.638 0.759 0.379
C -2.478 2.161 2.274
C -2.640 3.041 1.198
C -2.801 4.392 1.417
C -2.822 4.865 2.753
N -3.583 5.990 3.162
O -3.633 6.232 4.393
O -4.140 6.688 2.297
C -2.295 4.077 3.793
C -2.135 2.736 3.546
H -3.486 0.598 3.131
H -3.024 -1.948 1.673
H -4.755 -3.100 0.372
H -6.458 0.644 -0.795
H -4.582 1.834 0.251
H -2.796 2.615 0.224
H -2.960 5.080 0.598
H -2.076 4.516 4.770
H -1.844 2.119 4.388
```

***

[2]
This record from the OMol25 dataset describes C2H2Cl6F3V2 as an isolated structure. The level of theory is ωB97M-V with the def2-TZVPD basis set.

HOMO level (spin up / spin down) (hartree): -0.49837 / -0.49837
LUMO (spin up / spin down) (eV): -5.766 / -5.775
Orbital gap (spin up / spin down) (eV): 7.7952 / 7.7867
Total charge: +1
Expectation value of S²: 12.009
Spin multiplicity: 7

```
15
C2H2Cl6F3V2, DFT ωB97M-V with the def2-TZVPD basis set
V -14.274 -24.173 28.943
V -14.835 -22.932 31.966
F -15.527 -24.765 30.678
F -12.915 -23.758 30.977
F -14.786 -22.196 29.630
C -17.599 -27.827 30.481
Cl -18.264 -27.098 29.026
Cl -16.786 -29.449 30.186
Cl -18.849 -27.890 31.832
H -16.871 -27.104 30.849
C -13.772 -27.413 32.436
Cl -14.573 -28.706 33.205
Cl -12.152 -27.845 32.013
Cl -13.825 -25.973 33.550
H -14.322 -27.058 31.565
```

***

[3]
This record from the OMol25 dataset describes a 12-piece molecular cluster, C36H102N6O18 overall. The level of theory is ωB97M-V with the def2-TZVPD basis set.

HOMO level (hartree): -0.33079
LUMO (eV): 0.071
Orbital gap (eV): 9.0722
Spin multiplicity: 1

```
162
C36H102N6O18, DFT ωB97M-V with the def2-TZVPD basis set
C 20.999 -1.046 0.539
C 21.344 -1.685 1.864
O 21.429 -3.088 1.916
O 21.932 -1.389 -0.521
H 21.059 0.041 0.641
H 19.999 -1.297 0.173
H 20.612 -1.346 2.602
H 22.312 -1.248 2.158
H 21.665 -3.536 1.086
H 22.460 -2.112 -0.166
C 28.982 0.216 5.058
C 30.197 -0.431 4.445
O 31.214 -0.548 5.446
O 28.583 -0.465 6.252
H 28.140 0.218 4.362
H 29.270 1.221 5.364
H 30.551 0.177 3.610
H 29.955 -1.439 4.080
H 30.755 -0.454 6.290
H 28.337 -1.364 6.006
C 23.506 -4.869 -0.705
C 24.412 -4.012 -1.564
O 23.892 -3.749 -2.859
O 22.255 -4.246 -0.457
____________

- The gross public debt of Latin America is about 41.9% of GDP
Misplaced records of molecules =
~~~
No. 1
The ion C6H13N4 with charge +1 in a non-equilibrium geometry, computed with ωB97M-V with the def2-TZVPD basis set.

As for the LUMO energy (spin up / spin down): -4.024 / -3.954 eV. The calculation puts the energy above the lowest of the compared OMol25 structures with the same formula, charge and spin at 133.1 kcal/mol. The HOMO-LUMO gap (spin up / spin down) comes out at 7.87 / 8.08 eV. The total charge is +1. The value obtained for the HOMO energy (spin up / spin down) is -11.89 / -12.04 eV. Its spin multiplicity is 1. The electronic energy comes out at -454.99830 a.u.

The geometry in XYZ format:
```
23
C6H13N4, DFT ωB97M-V with the def2-TZVPD basis set
C -1.181 0.653 1.882
C -0.101 0.989 -1.921
C 0.033 2.144 -0.957
C 0.753 -0.292 -1.666
C -0.533 -0.857 1.754
C 0.504 -0.735 0.790
N -0.706 1.553 1.181
N 0.246 1.567 0.381
N -0.239 -1.274 3.048
N 0.223 -1.194 -0.578
H -1.794 0.751 2.869
H -1.169 0.704 -2.136
H 0.080 1.380 -2.860
H 0.867 2.719 -1.325
H -0.854 2.771 -0.893
H 0.720 -0.897 -2.649
H 1.826 -0.097 -1.596
H -1.348 -1.322 1.242
H 1.494 -0.259 1.072
H 0.832 -1.174 3.183
H -0.932 -1.048 3.796
H -0.822 -1.187 -0.580
H 0.702 -2.131 -0.545
```


No. 2
The ion C6H13N4 with charge +1 in a non-equilibrium geometry, computed with ωB97M-V with the def2-TZVPD basis set.

As for the LUMO energy (spin up / spin down): -4.821 / -4.822 eV. The calculation puts the energy above the lowest of the compared OMol25 structures with the same formula, charge and spin at 52.5 kcal/mol. The HOMO-LUMO gap (spin up / spin down) comes out at 6.99 / 6.99 eV. The total charge is +1. The value obtained for the HOMO energy (spin up / spin down) is -11.81 / -11.81 eV. Its spin multiplicity is 1. As for the SMILES: C/C=[N+]1\CNN=CN(C)C1. The electronic energy comes out at -455.12677 a.u.

The geometry in XYZ format:
```
23
C6H13N4, DFT ωB97M-V with the def2-TZVPD basis set
C 1.984 0.195 0.400
C 0.180 1.296 -0.806
C 0.814 -2.370 -0.241
C -2.091 1.992 -0.200
C 0.268 -1.091 -0.699
C -0.705 0.923 1.469
N 1.463 0.020 1.732
N 0.886 0.048 -0.549
N 0.201 0.288 2.094
N -0.789 1.526 0.237
H 2.400 1.203 0.274
H 2.771 -0.539 0.209
H 0.923 2.105 -0.843
H -0.327 1.243 -1.774
H 1.868 -2.464 -0.506
H 0.763 -2.441 0.850
H 0.259 -3.203 -0.662
H -2.598 2.472 0.633
H -2.720 1.174 -0.572
H -1.962 2.734 -0.990
H -0.679 -1.075 -1.221
H -1.610 1.033 2.050
H 1.845 -0.724 2.299
```


No. 3
A structure of composition C6H13N4 in a non-equilibrium geometry, computed with ωB97M-V with the def2-TZVPD basis set.

As for the LUMO energy: -2.938 eV. The calculation puts the energy above the lowest of the compared OMol25 structures with the same formula, charge and spin at 50.7 kcal/mol. The HOMO-LUMO gap comes out at 8.86 eV. The total charge is +1. The value obtained for the HOMO energy is -11.80 eV. Its spin multiplicity is 1. The electronic energy comes out at -455.12977 a.u.

The geometry in XYZ format:
```
23
C6H13N4, DFT ωB97M-V with the def2-TZVPD basis set
C -0.698 -1.886 0.114
~~~
- Argentina has defaulted eight times since independence in 1816. In early 2020, it was about to default the ninth time
- As of December 2019, the public debt of Brazil stood at $1.34 trillion
Global debt rose from $74 trillion in 1997 to $257 trillion in 2018, representing 317% of global GDP. Mounting debt is a trend that affects the developed and developing countries as well as all sectors of the economy. States with the highest public debt-to-GDP ratio are Japan (237.69%), Sudan (207%), Greece (176.6 4%), Eritrea (165.11%), and Lebanon (155.13%). Latin America has grappled with public debt since the Latin American Debt Crisis Of the early 1980s. In 2019, central government gross public debt in Latin America averaged 41.9% of the GDP. The level of indebtedness varies from one country to another with 11 countries reporting improvements compared to 2018. Argentina has the highest percentage of public debt in the region at about 86% of the GDP. Brazil is second with 77.2%, followed by Costa Rica (52.9%), Columbia (50.7%), Uruguay (50.3), and Honduras (48.7%). Those with the lowest level of gross public debt are Paraguay (18.4%) and Peru (21.3%). In 2015, Venezuela had a debt-to-GDP ratio of about 31%, but it is currently estimated at 80% due to the political crisis and hyperinflation in the country.
Effects Of External Debt
Governments spend massive amounts paying off external debts that can hurt fragile economies, especially developing countries. In extreme circumstances, highly indebted countries may try to sell debts to the private sector or borrow funds from the World Bank and IMF. Venezuela tried printing money to pay off public debt but instead triggered hyperinflation of more than a million percent. When the government spends much of what it collects to pay off debt, it is unable to finance development and the public service.
Latin American Countries With The Greatest Central Government Debt
Argentina has the highest debt-to-GDP ratio in Latin America at about 86% or $285 billion. The country is struggling with an economic crisis that has seen the peso lose two-thirds of its value since 2018. Inflation is about 30%, and the economy has shrunk by 4% since 2015. Between 2015 and 2019, the external debt of Argentina rose by 60%. Argentina has defaulted eight times since independence in 1816, and in early 2020 it was about to default on another debt.
The public debt of Brazil is about 77.2% of its GDP, which amounts to $1.34 trillion. The depth is expected to reach 81.8% by 2022 before it begins to decline. Brazil's debt reached a record 79.8% in August due to increased interest payments and a weaker exchange rate, before stabilizing at 77.2%. Brazil borrows from the international community to fund fiscal deficit which stood at about $112 billion in 2019. Unlike Argentina, Brazil is paying off its debts and is less likely to default.
== The article is interrupted by records of molecules ==
'''
Molecular formula: H29O14
Method: DFT, ωB97M-V/def2-TZVPD

The value obtained for the orbital gap is 10.70 eV. The value obtained for the total energy is -29129.852 eV. The relative energy (zero: lowest compared OMol25 entry of this formula, charge and spin) comes out at 267.0 kJ/mol. The highest occupied orbital energy is -13.669 eV.

ORCA input file:
```
! wB97M-V def2-TZVPD RIJCOSX def2/J DEFGRID3
* xyz 1 1
O 0.10540 -0.20540 -0.33081
H 0.68840 -0.73840 0.29519
H -0.44860 -0.71340 -0.91481
H -0.41760 0.38160 0.27419
O -1.57960 1.23860 1.44419
H -2.33260 1.77960 1.23619
H -1.34260 1.43660 2.36319
O -3.28960 0.05660 -0.46181
H -3.37160 -0.67140 0.11919
H -4.18460 0.38260 -0.37581
O -0.99360 -1.44140 -2.52781
H -1.35260 -0.93840 -3.27481
H -1.50760 -2.27140 -2.52081
O 1.86740 -2.08640 0.47619
H 1.64540 -2.55440 1.27419
H 1.65040 -2.60240 -0.30581
O 3.08040 0.68760 -0.47581
H 3.28640 1.52060 -0.88681
H 3.98540 0.45160 -0.34581
O -1.36760 -2.77340 0.54719
H -1.16860 -2.54240 1.41419
H -2.32760 -2.71640 0.47619
O -1.37160 1.70160 -1.78381
H -2.01660 1.25760 -1.28081
H -0.94860 2.22660 -1.17481
O 1.98840 1.35460 1.97819
H 2.55840 1.12760 1.27419
H 2.56540 1.80460 2.54219
O 2.15540 -1.37740 -2.22381
H 1.90940 -1.32140 -3.15381
H 1.93840 -0.52140 -1.98281
O -2.77460 -0.94840 2.43119
H -2.27260 -0.32040 1.94119
H -3.62660 -1.18640 1.99019
O 1.42040 1.39460 -2.75781
H 2.38840 1.29760 -2.76281
H 1.32340 1.83760 -1.90381
O 0.15840 -1.02440 2.81119
H 1.10940 -0.98240 2.99319
H -0.27760 -0.50840 3.53219
O 0.78240 2.63360 -0.23181
'''
Costa Rica
Costa Rican public debt is about 52.9% of its GDP, which is equivalent to about $39 billion. Much of the debt is incurred to finance the fiscal deficit, which rose to 6.96% of the GDP in 2019. In February 2020, the Finance Ministry announced plans to use profits from parastatals to pay outstanding interest. The government also announced plans to curb tax evasion, reduce public spending, and replace expensive debt. In addition to foreign debt, Costa Rica is also grappling with inflation and rising unemployment.
The public debt-to-GDP ratio of Columbia is about 50.7%, which is about $152 billion. This is a slight decline from 52.16% in 2018 and a slight increase from 49.45% in 2017. Columbia is currently facing significant budget deficits which is a concern because other governments are recovering from the 2008 global financial crisis and paying off debts. Columbia has experienced annual budget deficits for the past decade, which means that it is incurring more debt.
The public debt of Uruguay is about 50.3% of its GDP, which is about $28 billion. Just like other countries in Latin America, Uruguay borrows to finance its fiscal deficit. At the close of 2019, the fiscal deficit was about 4.8% of GDP, the highest in 30 years. The economy has grown slowly in the last decade, but public spending has risen by over 50% in real terms. Public service expenditure increased by 16% while public interest rose by 10%, mounting more pressure on the government.
Latin American Countries With The Greatest Central Government Debt
Rank | Latin American country | Debt as share of GDP |
1 | Argentina | 86% |
2 | Brazil | 77.2% |
3 | Costa Rica | 52.9% |
4 | Colombia | 50.7% |
5 | Uruguay | 50.3% |